Thursday, May 20, 2010

Revelations 8.8


  1. yes, Oh my God is right, for it is only He that can save us now. Man having done his part is in no position to do what only God can create.

    It has now been let known that as much as 19-times the amount of oil is being spewed into the Gulf. It would have been bad enough with the original figures, but this ... this kicks us over the cliff.

    There is nothing left now but the screaming.

== Records of molecules, as found in the file ==
____________
1.
The following is a DFT calculation (ωB97M-V/def2-TZVPD) of a structure of composition C19H14F5N5O7PSeSr.

The geometry in XYZ format:
```
53
Properties=species:S:1:pos:R:3:mulliken_charge:R:1
Sr -0.3304 -0.8717 1.5319 1.33
O -2.3727 -2.4132 1.2513 -0.70
C -1.8112 -2.2576 0.0959 -0.62
O -0.5839 -2.5280 -0.1037 -0.69
C -2.5843 -1.4823 -0.9960 0.81
C -3.7916 -1.9364 -1.4868 -0.41
C -4.4358 -1.1626 -2.4787 0.00
C -3.9885 0.0725 -2.9473 -0.36
C -2.9065 0.5595 -2.3015 -0.43
C -2.1293 -0.1995 -1.3461 1.11
O -1.2746 0.4278 -0.6040 -0.72
N -2.3125 1.7928 -2.9183 0.84
O -1.0432 1.7833 -2.9872 -0.49
O -3.0795 2.5608 -3.4562 -0.61
N -5.6889 -1.7215 -3.0059 0.89
O -6.1827 -2.6620 -2.3538 -0.62
O -6.0887 -1.3467 -4.1207 -0.60
H -4.2107 -2.9779 -1.3415 0.42
H -4.6272 0.6497 -3.6116 0.48
F -2.3997 -0.5574 8.6347 -0.30
C -1.5727 -0.2937 7.6235 0.42
C -0.5446 0.6315 7.7523 0.19
F -0.1644 1.1396 8.9713 -0.29
C 0.2644 0.9083 6.6526 0.25
F 1.2974 1.7015 6.8373 -0.29
C 0.1727 0.2693 5.4099 -0.25
Se 1.1915 0.7217 3.9458 -0.49
C -0.8629 -0.6630 5.3322 0.54
F -0.9368 -1.4501 4.1821 -0.24
C -1.7221 -0.9017 6.4021 0.00
F -2.7488 -1.7978 6.2132 -0.32
C 3.6916 -0.5376 -3.0508 -1.07
N 2.2790 -0.0738 -3.1652 0.08
C 2.3625 1.4065 -3.3451 -1.09
N 3.1230 2.0838 -2.2724 0.09
C 4.4499 1.5557 -2.1531 -0.81
N 4.5274 0.0707 -2.0028 -0.04
C 3.9784 -0.2878 -0.6560 -0.72
P 2.2520 0.3270 -0.4732 0.42
C 1.5061 -0.4428 -2.0275 0.16
C 2.3364 2.1014 -1.0248 -0.55
H 4.1273 -0.3397 -4.0418 0.30
H 3.5674 -1.5669 -2.8008 0.53
H 1.3864 1.7800 -3.3929 0.48
H 2.8436 1.6788 -4.3023 0.25
H 5.0256 2.0425 -1.2658 0.37
H 5.1155 1.7877 -3.0498 0.24
H 4.7099 0.1449 0.1035 0.35
H 4.0618 -1.3672 -0.4864 0.35
H 0.4065 -0.1552 -2.0750 -0.31
H 1.5175 -1.5358 -1.7896 0.43
H 2.8355 2.7826 -0.2654 0.33
H 1.3648 2.5498 -1.2393 0.34
```

Kohn-Sham gap, Ha: 0.268
Energy above the lowest of the compared OMol25 structures with the same formula, charge and spin, eV: 0.094
HOMO, eV: -5.35
Charge: -1
E, eV: -130768.776

---

2.
The following is a DFT calculation (ωB97M-V/def2-TZVPD) of a structure of composition C19H14FeN2O2S5.

The geometry in XYZ format:
```
43
Properties=species:S:1:pos:R:3:mulliken_charge:R:1
Fe 0.0240 0.1059 0.1684 0.15
O 1.6232 -0.6496 1.1033 -0.47
C 2.4953 -1.4010 0.5832 0.33
C 3.4461 -2.0588 1.4354 -0.86
C 4.4164 -2.8945 0.9537 -0.29
C 4.5450 -3.1519 -0.4239 -0.71
C 3.6634 -2.5295 -1.2771 -0.60
C 2.6495 -1.6672 -0.8295 0.78
C 1.8176 -1.0599 -1.8300 -0.33
N 0.8493 -0.2565 -1.6112 0.45
C 0.0944 0.2699 -2.7468 -0.71
C -1.0178 1.1870 -2.2161 -0.93
N -1.5133 0.5231 -1.0325 0.23
C -2.6728 -0.0098 -1.0268 -0.21
C -3.0650 -1.0663 -0.1264 0.63
C -4.4208 -1.3730 0.0285 -0.49
C -4.8487 -2.4739 0.7397 -0.67
C -3.8754 -3.3270 1.2812 -0.37
C -2.5362 -3.0786 1.1159 -0.84
C -2.0536 -1.9274 0.4226 0.38
O -0.8007 -1.7460 0.2820 -0.57
H 3.3470 -1.8628 2.4959 0.39
H 5.1009 -3.3693 1.6508 0.33
H 5.3152 -3.8151 -0.7975 0.35
H 3.7422 -2.6993 -2.3486 0.25
H 2.0695 -1.3163 -2.8681 0.13
H 0.7510 0.8138 -3.4348 0.46
____________

  2. M, I've been praying constantly, hoping that there will be some good news and this oil will stop spewing from the ocean floor. This never should have been allowed to happen.

    We as a species are screwed. We've allowed these corporate despots to ruin life here on Earth all in the name of greed. It is just so F'n sad and brings tears to my eyes knowing that this once beautiful area of water, the Gulf of Mexico could be vanquished.

    Yet I hear they were partying last night at the peoples house while the sea and the people of the Gulf coast are in peril. The disconnect is utterly astounding. There's only so much these people can tolerate.

    God, I hope they can stop this thing

    God bless you M. and your fellow brethren in NO. and everyone along the Gulf Coast.

    God help us all

  3. Hi folks,
    don;t know whats worse, the leak, or them again saying they consider using Nuke to try and stop it...
    now if its a loooong trench as it appears, and a nuke cracks the bloody thing wide open,..
    what Really sucks is that not One bastard that had a part in this headtrip will be jailed! every single one will weasel out of it, a mass clusterfuck as ever.
    while the people pay with their lives health and their environment.

  4. There is no denying what is in store for us now M. This is so horrifyingly true.

    If anyone missed Wayne Madsen on Alex Jones yesterday, I'm posting the videos here. According to his sources, Lake Michigan could be BP's next victim. He also discusses some very interesting stuff he's found out working in Chicago.

  5. Correct M, in so many ways to mention. Kudos.

  6. There is starting to be a consensus that they're purposely allowing the destruction of the Gulf region.

# Next to the page, the page also holds calculated molecules
<<<
# 1
Here is a 3-piece molecular cluster, C11H21BFNO2S2 overall from OMol25. Energies are from ωB97M-V with the def2-TZVPD basis set.

```
39
Properties=species:S:1:pos:R:3:forces:R:3:lowdin_charge:R:1
F -1.094 4.465 -2.529 -1.1 -1.8 -0.3 -0.130
C -1.939 3.295 -2.746 -0.1 -0.3 0.0 -0.173
C -1.090 2.016 -3.263 -0.4 0.4 0.2 -0.123
B -1.251 0.719 -2.261 1.3 0.5 -1.2 -0.085
C -0.220 -0.519 -2.375 3.3 -4.0 -0.1 -0.088
C -0.205 -1.573 -3.529 1.0 0.2 1.2 -0.029
C 0.791 -2.731 -3.677 -0.7 3.0 2.6 -0.124
N 1.808 -2.933 -2.712 -2.7 2.9 0.0 -0.008
C 1.824 -2.005 -1.646 -0.9 1.3 0.1 -0.155
C 0.927 -0.803 -1.335 -1.0 -1.9 -3.7 -0.004
H -2.459 3.029 -1.762 0.9 0.6 -1.2 0.097
H -2.763 3.610 -3.474 1.3 -0.4 0.8 0.118
H 0.010 2.294 -3.383 -1.4 -0.3 0.1 0.116
H -1.476 1.726 -4.306 0.6 0.3 1.3 0.112
H -2.123 0.782 -1.470 -0.2 -0.4 0.2 0.058
H -1.008 -1.466 -4.344 1.4 -0.2 1.3 0.092
H 0.719 -3.425 -4.576 0.2 1.0 1.5 0.100
H 2.675 -2.164 -0.884 -1.4 0.1 -1.4 0.093
H 1.085 -0.120 -0.432 -0.3 -1.3 -1.5 0.082
C -1.782 3.203 1.704 -0.1 0.0 -0.1 -0.267
S -0.555 1.908 1.978 -0.1 0.0 0.2 0.831
O -0.594 0.997 0.791 -0.1 0.2 0.1 -0.569
C -1.435 1.085 3.319 0.0 -0.2 0.0 -0.256
H -1.450 3.823 0.870 0.1 -0.1 0.0 0.045
H -2.748 2.757 1.461 0.1 -0.1 0.0 0.058
H -1.867 3.820 2.600 0.1 -0.1 0.0 0.053
H -2.422 0.766 2.978 0.1 0.1 -0.1 0.063
H -1.531 1.767 4.166 0.1 0.1 -0.1 0.055
H -0.858 0.210 3.624 0.1 0.0 -0.1 0.023
C 1.510 -3.028 1.642 0.0 0.1 0.0 -0.274
S 1.473 -2.880 3.441 -0.1 0.1 0.0 0.820
O 0.389 -1.911 3.789 0.3 -0.1 -0.1 -0.563
C 3.047 -2.011 3.593 0.1 0.1 0.0 -0.270
H 0.590 -3.514 1.316 0.0 0.1 0.1 0.060
H 1.575 -2.038 1.189 -0.1 0.0 0.1 0.027
H 2.365 -3.636 1.343 0.0 0.0 0.1 0.056
H 3.018 -1.083 3.020 -0.1 -0.1 0.0 0.057
H 3.854 -2.651 3.233 -0.1 0.0 0.0 0.053
H 3.212 -1.780 4.647 -0.1 -0.1 -0.1 0.049
```
Forces are in eV/Å.

**Largest force on an atom**: 5.185 eV/Å
**LUMO**: 0.0066 Eh
**HOMO-LUMO gap**: 9.1 eV

=====

# 2
Here is C5H13NO as an isolated structure from OMol25. Energies are from ωB97M-V with the def2-TZVPD basis set.

```
20
Properties=species:S:1:pos:R:3:forces:R:3:lowdin_charge:R:1
C -0.770 0.311 -0.446 4.8 1.7 2.4 -0.297
C -0.506 -1.054 -0.095 -6.0 -2.1 -2.9 -0.119
C 1.230 0.793 1.598 -0.5 0.6 -0.3 -0.158
C 2.022 0.908 -0.670 -0.3 0.2 0.0 -0.161
C -2.121 -1.558 -0.893 1.9 -1.1 1.5 -0.050
N 0.992 0.446 0.222 -0.2 0.4 -0.7 -0.264
O -1.616 1.105 0.256 -0.1 -0.3 -0.2 0.034
H -1.647 0.815 1.177 0.0 0.0 -0.1 0.110
H -0.734 0.598 -1.490 0.1 0.0 0.1 0.147
H 0.189 -1.598 -0.717 0.2 0.2 0.3 0.106
H -0.647 -1.350 0.938 0.4 0.1 0.0 0.106
H 3.012 0.526 -0.377 -0.1 0.1 0.1 0.075
H 1.833 0.536 -1.682 0.0 0.1 0.0 0.069
H 0.442 0.382 2.237 0.0 0.0 0.1 0.064
H 2.181 0.376 1.964 -0.1 0.0 -0.2 0.082
H 1.261 1.883 1.763 0.0 0.0 0.2 0.074
H 2.084 2.008 -0.705 0.2 0.0 -0.2 0.072
H -2.146 -2.611 -0.618 -0.5 -0.1 -0.2 0.031
H -2.076 -1.474 -1.977 0.2 0.2 0.0 0.041
H -2.986 -1.042 -0.484 0.2 0.1 0.0 0.037
```
Forces are in eV/Å.

**Largest force on an atom**: 7.033 eV/Å
>>>

    Further evidence of this, is that they are not even discussing an already proven method of cleaning-up the spill.

    Check it out.


    What do the cajuns think about Kevin Costners oil suckers?

  8. Red algea could turn the whole ocean red. I dont know much about red algea,I get green algea when I dont change the dog water. I suppose red tide has something to do with red algea. Patricks smart he might know.

  9. I remember one red algae kill in Florida. Horrible.
    I don't think the oil can cause it.

    They thought it was from the miami cruise ships dumping their sewage tanks. They all do it not to have to pay for disposal at docks or they will dump partials. Sometimes it is chemical dumping and I think phosphates would do the trick.

    Slimeballs dumping slime. What else would you expect
